Request:
Your job: print everything further below word for word.

Contents:
Entry 1:
# C30H24IInN7O8S

C30H24IInN7O8S as an isolated structure (ωB97M-V/def2-TZVPD, OMol25).

CARTESIAN COORDINATES (ANGSTROEM)
In  1.4338  0.8703  -0.2072
C  5.1109  -1.3538  -1.4486
C  4.6791  -1.5759  -0.0301
N  5.1106  -2.6348  0.6116
C  4.7157  -2.8456  1.8873
C  3.8544  -2.0254  2.5626
C  3.4352  -2.3936  3.9664
O  3.6644  -1.3650  4.9270
C  3.3567  -0.8796  1.8878
C  2.4592  0.0189  2.5879
N  1.8214  0.9743  2.0083
C  0.9974  1.8840  2.7166
C  0.2286  1.5383  3.8228
C  -0.6000  2.4734  4.4194
C  -0.6769  3.7678  3.9200
C  0.0712  4.1298  2.8081
C  0.8885  3.1801  2.2239
I  1.9969  3.6933  0.5061
C  3.7992  -0.6268  0.5740
O  3.4714  0.4433  -0.1288
H  5.6428  -2.2328  -1.8037
H  5.7659  -0.4830  -1.5218
H  4.2474  -1.1546  -2.0848
H  5.1206  -3.7292  2.3703
H  3.9478  -3.3130  4.2523
H  2.3647  -2.6002  4.0024
H  4.6115  -1.2890  5.0822
H  2.3684  -0.1079  3.6646
H  0.2712  0.5219  4.1954
H  -1.2059  2.1857  5.2690
H  -1.3223  4.5002  4.3886
H  0.0168  5.1342  2.4106
C  -0.1575  -4.2483  -1.5181
N  -0.4187  -3.0157  -2.2603
C  -1.1775  -2.9261  -3.4116
C  -1.2099  -1.6412  -3.7705
N  -0.4674  -0.9212  -2.8178
C  0.0267  -1.8013  -1.8921
S  1.0106  -1.6365  -0.5149
C  -0.2977  0.4913  -2.9617
C  -1.2615  1.1863  -3.6735
C  -1.0335  2.5118  -3.9940
C  0.1557  3.1048  -3.6158
C  1.0228  2.3634  -2.8474
N  0.8044  1.0819  -2.4924
H  -0.5430  -5.0794  -2.0996
H  -0.6581  -4.2126  -0.5533
H  0.9125  -4.3665  -1.3660
H  -1.6223  -3.7883  -3.8770
H  -1.6460  -1.1763  -4.6342
H  -2.1809  0.7041  -3.9688
H  -1.7838  3.0743  -4.5346
H  0.3906  4.1291  -3.8674
H  1.9498  2.7925  -2.4925
O  -1.2704  2.7634  -0.8275
C  -1.4798  1.7177  -0.2342
O  -0.5859  1.0048  0.3880
C  -2.8447  1.0872  -0.2712
C  -3.9767  1.8717  -0.4282
C  -5.2096  1.2536  -0.4880
C  -5.3655  -0.1153  -0.4246
C  -4.2148  -0.8642  -0.2970
C  -2.9616  -0.2929  -0.1979
N  -4.3271  -2.3366  -0.2696
O  -5.4047  -2.8142  -0.0053
O  -3.3192  -2.9763  -0.5233
N  -6.4220  2.0935  -0.6442
O  -7.4871  1.5214  -0.7233
O  -6.2590  3.2941  -0.6909
H  -3.9039  2.9472  -0.5097
H  -6.3423  -0.5738  -0.4750
H  -2.0877  -0.9126  -0.0548

Properties
Multiplicity ... 1
Kohn-Sham gap ... 0.2697 Eh
Total charge ... +1
E_HOMO ... -10.82 eV

=====

Entry 2:
# C5H8CsO3

C5H8CsO3 as an isolated structure (ωB97M-V/def2-TZVPD, OMol25).

CARTESIAN COORDINATES (ANGSTROEM)
O  -0.1998  -1.2507  0.8938
C  0.1949  0.2283  -0.3196
C  -1.2712  0.4082  -0.6214
O  -1.8921  -0.8727  -0.5343
C  -1.3768  -1.6689  0.5244
O  -1.6955  -2.8874  0.3508
Cs  -4.0471  -4.4331  -2.3787
C  0.9098  1.3255  0.4149
C  2.3653  1.0010  0.7313
H  0.7645  -0.2255  -1.1430
H  -1.4535  0.7742  -1.6408
H  -1.7351  1.0614  0.1331
H  0.8641  2.2527  -0.1856
H  0.3503  1.5392  1.3409
H  2.8613  1.8512  1.2189
H  2.9224  0.7634  -0.1871
H  2.4383  0.1332  1.4025

Properties
Multiplicity ... 2
Kohn-Sham gap (alpha / beta) ... 0.0831 / 0.2402 Eh
⟨S²⟩ ... 0.759
E_HOMO (alpha / beta) ... -3.50 / -7.86 eV

=====

Values for calculated total energy, eV, ordered as above
-82411.1629, -12001.3148
Values for max |F|, eV/A, ordered as above
0.504, 6.074
Values for energy relative to the best compared isomer or geometry (same formula, charge and spin), kcal/mol, ordered as above
11.5, 23.2

Worked solution:
Entry 1:
# C30H24IInN7O8S

C30H24IInN7O8S as an isolated structure (ωB97M-V/def2-TZVPD, OMol25).

CARTESIAN COORDINATES (ANGSTROEM)
In  1.4338  0.8703  -0.2072
C  5.1109  -1.3538  -1.4486
C  4.6791  -1.5759  -0.0301
N  5.1106  -2.6348  0.6116
C  4.7157  -2.8456  1.8873
C  3.8544  -2.0254  2.5626
C  3.4352  -2.3936  3.9664
O  3.6644  -1.3650  4.9270
C  3.3567  -0.8796  1.8878
C  2.4592  0.0189  2.5879
N  1.8214  0.9743  2.0083
C  0.9974  1.8840  2.7166
C  0.2286  1.5383  3.8228
C  -0.6000  2.4734  4.4194
C  -0.6769  3.7678  3.9200
C  0.0712  4.1298  2.8081
C  0.8885  3.1801  2.2239
I  1.9969  3.6933  0.5061
C  3.7992  -0.6268  0.5740
O  3.4714  0.4433  -0.1288
H  5.6428  -2.2328  -1.8037
H  5.7659  -0.4830  -1.5218
H  4.2474  -1.1546  -2.0848
H  5.1206  -3.7292  2.3703
H  3.9478  -3.3130  4.2523
H  2.3647  -2.6002  4.0024
H  4.6115  -1.2890  5.0822
H  2.3684  -0.1079  3.6646
H  0.2712  0.5219  4.1954
H  -1.2059  2.1857  5.2690
H  -1.3223  4.5002  4.3886
H  0.0168  5.1342  2.4106
C  -0.1575  -4.2483  -1.5181
N  -0.4187  -3.0157  -2.2603
C  -1.1775  -2.9261  -3.4116
C  -1.2099  -1.6412  -3.7705
N  -0.4674  -0.9212  -2.8178
C  0.0267  -1.8013  -1.8921
S  1.0106  -1.6365  -0.5149
C  -0.2977  0.4913  -2.9617
C  -1.2615  1.1863  -3.6735
C  -1.0335  2.5118  -3.9940
C  0.1557  3.1048  -3.6158
C  1.0228  2.3634  -2.8474
N  0.8044  1.0819  -2.4924
H  -0.5430  -5.0794  -2.0996
H  -0.6581  -4.2126  -0.5533
H  0.9125  -4.3665  -1.3660
H  -1.6223  -3.7883  -3.8770
H  -1.6460  -1.1763  -4.6342
H  -2.1809  0.7041  -3.9688
H  -1.7838  3.0743  -4.5346
H  0.3906  4.1291  -3.8674
H  1.9498  2.7925  -2.4925
O  -1.2704  2.7634  -0.8275
C  -1.4798  1.7177  -0.2342
O  -0.5859  1.0048  0.3880
C  -2.8447  1.0872  -0.2712
C  -3.9767  1.8717  -0.4282
C  -5.2096  1.2536  -0.4880
C  -5.3655  -0.1153  -0.4246
C  -4.2148  -0.8642  -0.2970
C  -2.9616  -0.2929  -0.1979
N  -4.3271  -2.3366  -0.2696
O  -5.4047  -2.8142  -0.0053
O  -3.3192  -2.9763  -0.5233
N  -6.4220  2.0935  -0.6442
O  -7.4871  1.5214  -0.7233
O  -6.2590  3.2941  -0.6909
H  -3.9039  2.9472  -0.5097
H  -6.3423  -0.5738  -0.4750
H  -2.0877  -0.9126  -0.0548

Properties
Multiplicity ... 1
Kohn-Sham gap ... 0.2697 Eh
Total charge ... +1
E_HOMO ... -10.82 eV

=====

Entry 2:
# C5H8CsO3

C5H8CsO3 as an isolated structure (ωB97M-V/def2-TZVPD, OMol25).

CARTESIAN COORDINATES (ANGSTROEM)
O  -0.1998  -1.2507  0.8938
C  0.1949  0.2283  -0.3196
C  -1.2712  0.4082  -0.6214
O  -1.8921  -0.8727  -0.5343
C  -1.3768  -1.6689  0.5244
O  -1.6955  -2.8874  0.3508
Cs  -4.0471  -4.4331  -2.3787
C  0.9098  1.3255  0.4149
C  2.3653  1.0010  0.7313
H  0.7645  -0.2255  -1.1430
H  -1.4535  0.7742  -1.6408
H  -1.7351  1.0614  0.1331
H  0.8641  2.2527  -0.1856
H  0.3503  1.5392  1.3409
H  2.8613  1.8512  1.2189
H  2.9224  0.7634  -0.1871
H  2.4383  0.1332  1.4025

Properties
Multiplicity ... 2
Kohn-Sham gap (alpha / beta) ... 0.0831 / 0.2402 Eh
⟨S²⟩ ... 0.759
E_HOMO (alpha / beta) ... -3.50 / -7.86 eV

=====

Values for calculated total energy, eV, ordered as above
-82411.1629, -12001.3148
Values for max |F|, eV/A, ordered as above
0.504, 6.074
Values for energy relative to the best compared isomer or geometry (same formula, charge and spin), kcal/mol, ordered as above
11.5, 23.2